== Listing ==
┌──
59
Properties=species:S:1:pos:R:3:forces:R:3 method="wB97M-V/def2-TZVPD" homo_ev=-7.2 largest_force_ev_per_a=0.449 total_charge=0 homo_lumo_gap_ha=0.268
Si -2.253 -0.444 -0.830 0.0012 0.1450 0.0157
Si -0.369 -1.474 1.381 0.2087 0.1554 0.1232
Si 0.681 -0.981 -1.398 0.0119 0.1344 -0.0406
N 2.327 1.043 -0.322 0.1605 -0.2761 -0.2507
N 0.551 2.002 2.295 -0.2384 0.0443 0.1392
N -0.412 3.111 -0.134 -0.2373 0.1485 0.2153
C -2.520 0.885 -2.158 -0.0193 0.0973 -0.1097
C -1.018 -3.240 1.368 -0.1036 -0.1556 -0.0675
C 3.576 -0.577 -1.546 -0.0397 0.0276 0.0423
C -0.414 3.911 1.105 0.0819 -0.2329 -0.0907
C 2.361 -0.108 -1.035 0.1557 0.1029 0.0179
C -2.826 -2.037 -1.659 -0.0042 -0.1681 -0.0645
C 1.465 -1.614 1.849 0.1158 -0.0412 -0.0284
C 4.744 0.131 -1.326 -0.0024 0.0486 0.0356
C -0.555 2.977 2.298 0.1375 -0.1513 -0.1822
C -3.531 -0.064 0.505 -0.0629 0.0024 0.1503
C 0.329 -0.383 -3.152 -0.1009 0.0527 -0.0981
C 3.458 1.723 -0.118 -0.1404 -0.0634 0.0073
C -1.207 -0.691 2.904 -0.1501 0.0516 0.0393
C 1.109 -2.805 -1.584 -0.0123 -0.1781 0.0746
C 4.688 1.311 -0.596 0.0562 -0.0636 -0.0393
C -0.558 -0.502 -0.157 0.0366 -0.4069 -0.1856
Li 0.459 1.257 0.336 0.0986 0.3996 0.1012
H 1.404 2.428 2.636 0.0177 -0.0040 -0.0494
H -1.910 1.784 -2.014 -0.0734 -0.0932 -0.0395
H -0.214 3.689 -0.941 0.0568 -0.0422 -0.0006
H -3.866 -1.974 -1.999 0.0705 0.0037 0.0129
H 1.984 -0.651 1.764 -0.0428 -0.0998 0.0719
H -0.551 -3.838 0.579 -0.0510 0.0444 0.0775
H -3.301 0.867 1.039 -0.0370 -0.0927 -0.0457
H 3.371 2.639 0.461 -0.0062 -0.0420 -0.0297
H 0.541 4.438 1.169 0.0071 0.0095 -0.0221
H -0.822 -3.728 2.329 -0.0089 0.0188 -0.0474
H 0.191 -3.366 -1.790 0.0877 0.0378 -0.0039
H -3.581 -0.865 1.252 -0.0182 0.0941 -0.0392
H -0.557 -0.875 -3.569 0.1463 0.0637 0.0156
H -2.742 -2.891 -0.978 -0.0274 0.0754 -0.0825
H 1.802 -2.988 -2.411 -0.0357 0.0099 0.0269
H -3.571 1.191 -2.174 0.0616 -0.0161 -0.0115
H 1.579 -1.974 2.878 -0.0200 0.0060 -0.0774
H -2.119 -1.235 3.169 0.0867 0.0601 -0.0108
H 1.550 -3.221 -0.672 -0.0544 -0.0011 -0.1509
H -2.202 -2.256 -2.534 -0.0879 -0.0083 0.0859
H -0.544 -0.735 3.776 -0.0550 -0.0053 -0.0341
H -2.101 -3.258 1.201 0.0890 -0.0168 0.0378
H -0.625 3.556 3.220 0.0089 0.0504 0.0832
H 0.346 1.212 2.900 0.0127 0.1337 0.0073
H 5.689 -0.228 -1.715 -0.0055 0.0023 0.0035
H -1.334 2.709 -0.288 0.0138 0.0922 0.0103
H -1.491 2.420 2.192 0.0407 0.0097 0.0396
H 1.177 -0.608 -3.806 -0.0383 0.0085 0.0570
H 3.595 -1.502 -2.113 -0.0005 0.0710 0.0453
H 0.154 0.699 -3.178 0.0354 -0.1296 -0.0255
H -1.205 4.664 1.137 -0.0569 0.0452 -0.0137
H 1.994 -2.320 1.195 -0.0438 0.1469 0.1453
H -1.501 0.351 2.742 -0.0310 -0.1647 0.0332
H -2.276 0.496 -3.151 -0.0633 0.0867 0.0986
H 5.576 1.897 -0.398 -0.0198 -0.0092 -0.0059
H -4.528 0.041 0.063 0.0889 -0.0181 0.0331


59
Properties=species:S:1:pos:R:3:forces:R:3 method="wB97M-V/def2-TZVPD" homo_ev="-15.0 / -14.9" largest_force_ev_per_a=1.735 total_charge=+2 homo_lumo_gap_ha="0.252 / 0.255"
Rh -1.121 -0.289 -0.163 -0.9770 -0.3948 -1.3786
Si 1.045 -1.355 -1.902 0.0798 0.2012 0.4137
Si 1.284 1.694 -0.788 0.0356 -0.5980 0.1768
Si 1.419 -0.847 1.204 1.0099 0.3969 -0.4974
N -1.241 -0.624 1.846 0.9267 0.6147 -0.1940
N -1.985 1.644 0.090 0.2412 -0.7006 0.2456
N -3.175 -0.664 -1.024 -0.6100 -0.0709 0.3600
C 0.081 2.272 -2.110 -0.0558 0.2590 -0.1790
C -2.243 -0.429 3.986 -0.0212 -0.0495 0.0586
C 0.537 -0.653 -3.531 -0.1228 0.0082 -0.3306
C -4.025 0.476 -0.606 0.0937 -0.1682 -0.0736
C -0.991 -0.256 4.560 0.0570 0.0279 0.0498
C -0.278 -2.619 -1.395 -0.1193 0.0055 -0.0769
C 2.773 -1.985 -1.986 0.2317 -0.2623 -0.1415
C 1.018 2.672 0.781 -0.1064 0.2729 0.1839
C -3.212 1.741 -0.755 -0.0517 0.0097 0.0025
C -2.336 -0.599 2.620 -0.0293 -0.0409 -0.2733
C 0.913 -0.142 -0.467 -0.3227 0.6260 1.1386
C 1.527 -2.689 1.323 -0.0645 -0.3698 0.0669
C 3.022 1.859 -1.371 0.3139 0.1987 -0.1472
C 2.996 -0.095 1.801 0.1602 -0.0302 0.3092
C 0.140 -0.295 3.756 -0.2134 -0.0989 0.0404
C 0.004 -0.494 2.389 -0.3974 -0.0076 0.2969
H -4.952 0.540 -1.175 -0.0136 0.0584 -0.0660
└──

== Work order ==
Next, find the line further above that holds "3.458 1.723", then give back that line and all lines after it there.

== Outcome ==
C 3.458 1.723 -0.118 -0.1404 -0.0634 0.0073
C -1.207 -0.691 2.904 -0.1501 0.0516 0.0393
C 1.109 -2.805 -1.584 -0.0123 -0.1781 0.0746
C 4.688 1.311 -0.596 0.0562 -0.0636 -0.0393
C -0.558 -0.502 -0.157 0.0366 -0.4069 -0.1856
Li 0.459 1.257 0.336 0.0986 0.3996 0.1012
H 1.404 2.428 2.636 0.0177 -0.0040 -0.0494
H -1.910 1.784 -2.014 -0.0734 -0.0932 -0.0395
H -0.214 3.689 -0.941 0.0568 -0.0422 -0.0006
H -3.866 -1.974 -1.999 0.0705 0.0037 0.0129
H 1.984 -0.651 1.764 -0.0428 -0.0998 0.0719
H -0.551 -3.838 0.579 -0.0510 0.0444 0.0775
H -3.301 0.867 1.039 -0.0370 -0.0927 -0.0457
H 3.371 2.639 0.461 -0.0062 -0.0420 -0.0297
H 0.541 4.438 1.169 0.0071 0.0095 -0.0221
H -0.822 -3.728 2.329 -0.0089 0.0188 -0.0474
H 0.191 -3.366 -1.790 0.0877 0.0378 -0.0039
H -3.581 -0.865 1.252 -0.0182 0.0941 -0.0392
H -0.557 -0.875 -3.569 0.1463 0.0637 0.0156
H -2.742 -2.891 -0.978 -0.0274 0.0754 -0.0825
H 1.802 -2.988 -2.411 -0.0357 0.0099 0.0269
H -3.571 1.191 -2.174 0.0616 -0.0161 -0.0115
H 1.579 -1.974 2.878 -0.0200 0.0060 -0.0774
H -2.119 -1.235 3.169 0.0867 0.0601 -0.0108
H 1.550 -3.221 -0.672 -0.0544 -0.0011 -0.1509
H -2.202 -2.256 -2.534 -0.0879 -0.0083 0.0859
H -0.544 -0.735 3.776 -0.0550 -0.0053 -0.0341
H -2.101 -3.258 1.201 0.0890 -0.0168 0.0378
H -0.625 3.556 3.220 0.0089 0.0504 0.0832
H 0.346 1.212 2.900 0.0127 0.1337 0.0073
H 5.689 -0.228 -1.715 -0.0055 0.0023 0.0035
H -1.334 2.709 -0.288 0.0138 0.0922 0.0103
H -1.491 2.420 2.192 0.0407 0.0097 0.0396
H 1.177 -0.608 -3.806 -0.0383 0.0085 0.0570
H 3.595 -1.502 -2.113 -0.0005 0.0710 0.0453
H 0.154 0.699 -3.178 0.0354 -0.1296 -0.0255
H -1.205 4.664 1.137 -0.0569 0.0452 -0.0137
H 1.994 -2.320 1.195 -0.0438 0.1469 0.1453
H -1.501 0.351 2.742 -0.0310 -0.1647 0.0332
H -2.276 0.496 -3.151 -0.0633 0.0867 0.0986
H 5.576 1.897 -0.398 -0.0198 -0.0092 -0.0059
H -4.528 0.041 0.063 0.0889 -0.0181 0.0331


59
Properties=species:S:1:pos:R:3:forces:R:3 method="wB97M-V/def2-TZVPD" homo_ev="-15.0 / -14.9" largest_force_ev_per_a=1.735 total_charge=+2 homo_lumo_gap_ha="0.252 / 0.255"
Rh -1.121 -0.289 -0.163 -0.9770 -0.3948 -1.3786
Si 1.045 -1.355 -1.902 0.0798 0.2012 0.4137
Si 1.284 1.694 -0.788 0.0356 -0.5980 0.1768
Si 1.419 -0.847 1.204 1.0099 0.3969 -0.4974
N -1.241 -0.624 1.846 0.9267 0.6147 -0.1940
N -1.985 1.644 0.090 0.2412 -0.7006 0.2456
N -3.175 -0.664 -1.024 -0.6100 -0.0709 0.3600
C 0.081 2.272 -2.110 -0.0558 0.2590 -0.1790
C -2.243 -0.429 3.986 -0.0212 -0.0495 0.0586
C 0.537 -0.653 -3.531 -0.1228 0.0082 -0.3306
C -4.025 0.476 -0.606 0.0937 -0.1682 -0.0736
C -0.991 -0.256 4.560 0.0570 0.0279 0.0498
C -0.278 -2.619 -1.395 -0.1193 0.0055 -0.0769
C 2.773 -1.985 -1.986 0.2317 -0.2623 -0.1415
C 1.018 2.672 0.781 -0.1064 0.2729 0.1839
C -3.212 1.741 -0.755 -0.0517 0.0097 0.0025
C -2.336 -0.599 2.620 -0.0293 -0.0409 -0.2733
C 0.913 -0.142 -0.467 -0.3227 0.6260 1.1386
C 1.527 -2.689 1.323 -0.0645 -0.3698 0.0669
C 3.022 1.859 -1.371 0.3139 0.1987 -0.1472
C 2.996 -0.095 1.801 0.1602 -0.0302 0.3092
C 0.140 -0.295 3.756 -0.2134 -0.0989 0.0404
C 0.004 -0.494 2.389 -0.3974 -0.0076 0.2969
H -4.952 0.540 -1.175 -0.0136 0.0584 -0.0660